Data
1.
Below is a geometry-optimized MoH17C5N4O4 structure, with properties calculated at the PBE with a Hubbard U level.

Results
Crystal system: triclinic
Total magnetic moment in μB/cell: 1.98

Lattice parameters (Å, degrees): 10.9946 11.0226 11.0294 90.03 90.00 90.01
Last column: nearest neighbours and their distance in Å.
Space group P1 (No. 1)
Asymmetric unit:
Mo1 0.0000 0.0000 0.0000  4 O 1.79-1.81
Mo2 0.0033 0.4997 0.5031  4 O 1.79-1.81
Mo3 0.4993 0.4965 0.0034  4 O 1.79-1.81
Mo4 0.5033 0.9960 0.5000  4 O 1.79-1.81
H1 0.0003 0.6616 0.2658  1 N 1.04
H2 0.0028 0.1612 0.2382  1 N 1.03
H3 0.0042 0.2678 0.3573  1 N 1.03
H4 0.0474 0.6037 0.9494  1 C 1.09
H5 0.0541 0.4537 0.1097  1 C 1.10
H6 0.0649 0.7911 0.5723  1 C 1.10
H7 0.0728 0.5603 0.7934  1 C 1.10
H8 0.0729 0.8990 0.6980  1 C 1.10
H9 0.1012 0.3009 0.0738  1 C 1.10
H10 0.1081 0.9461 0.5466  1 C 1.09
H11 0.1464 0.0008 0.2320  1 N 1.03
H12 0.1648 0.2611 0.5014  1 N 1.04
H13 0.1998 0.5708 0.9015  1 C 1.10
H14 0.2101 0.4267 0.0669  1 C 1.10
H15 0.2318 0.8538 0.9991  1 N 1.03
H16 0.2382 0.9981 0.8385  1 N 1.04
H17 0.2462 0.6561 0.3754  1 C 1.09
H18 0.2658 0.9985 0.3384  1 N 1.04
H19 0.2717 0.1422 0.4994  1 N 1.03
H20 0.2943 0.5685 0.5652  1 C 1.10
H21 0.3057 0.4256 0.4032  1 C 1.10
H22 0.3387 0.7348 0.0005  1 N 1.03
H23 0.3572 0.9955 0.7318  1 N 1.03
H24 0.3634 0.6415 0.2453  1 C 1.09
H25 0.3952 0.0499 0.0465  1 C 1.09
H26 0.4025 0.6948 0.5723  1 C 1.10
H27 0.4305 0.0969 0.1980  1 C 1.10
H28 0.4315 0.4340 0.2953  1 C 1.10
H29 0.4383 0.2047 0.0723  1 C 1.10
H30 0.4497 0.5431 0.6076  1 C 1.10
H31 0.4582 0.3899 0.4508  1 C 1.10
H32 0.4989 0.7283 0.8569  1 N 1.03
H33 0.5005 0.8345 0.7376  1 N 1.04
H34 0.5018 0.3346 0.7648  1 N 1.03
H35 0.5039 0.2278 0.6462  1 N 1.03
H36 0.5464 0.8917 0.0536  1 C 1.10
H37 0.5534 0.0428 0.8956  1 C 1.10
H38 0.5640 0.7058 0.4305  1 C 1.10
H39 0.5721 0.9349 0.2084  1 C 1.10
H40 0.5727 0.5974 0.3050  1 C 1.10
H41 0.6006 0.1943 0.9307  1 C 1.10
H42 0.6073 0.5508 0.4565  1 C 1.10
H43 0.6339 0.2520 0.1470  1 C 1.10
H44 0.6461 0.4953 0.7714  1 N 1.03
H45 0.6468 0.1302 0.2557  1 C 1.10
H46 0.6651 0.2337 0.5030  1 N 1.04
H47 0.6983 0.9268 0.1008  1 C 1.10
H48 0.7087 0.0685 0.9386  1 C 1.10
H49 0.7315 0.6427 0.0046  1 N 1.03
H50 0.7375 0.4993 0.1652  1 N 1.04
H51 0.7472 0.8528 0.6340  1 C 1.10
H52 0.7560 0.1431 0.1341  1 C 1.10
H53 0.7655 0.4969 0.6648  1 N 1.04
H54 0.7715 0.3532 0.5045  1 N 1.03
H55 0.7946 0.9273 0.4387  1 C 1.10
H56 0.8050 0.0690 0.6007  1 C 1.10
H57 0.8382 0.7620 0.0032  1 N 1.04
H58 0.8565 0.8657 0.7556  1 C 1.10
H59 0.8570 0.5008 0.2716  1 N 1.03
H60 0.8693 0.7438 0.6468  1 C 1.10
H61 0.8994 0.4443 0.9556  1 C 1.10
H62 0.9026 0.8015 0.4307  1 C 1.10
H63 0.9312 0.0611 0.7084  1 C 1.10
H64 0.9317 0.3978 0.8028  1 C 1.10
H65 0.9392 0.2879 0.9299  1 C 1.10
H66 0.9499 0.9531 0.3957  1 C 1.10
H67 0.9570 0.1041 0.5537  1 C 1.10
H68 0.9990 0.7681 0.1465  1 N 1.03
C1 0.0522 0.8853 0.6018  3 H 1.09-1.10
C2 0.1034 0.5498 0.8875  3 H 1.09-1.10
C3 0.1156 0.3974 0.0550  3 H 1.10
C4 0.1404 0.1364 0.3636  3 N 1.34-1.35
C5 0.1517 0.3392 0.8434  1 N 1.44
C6 0.3388 0.6445 0.3412  2 H 1.09
C7 0.3631 0.8599 0.8630  3 N 1.34-1.35
C8 0.3884 0.5984 0.5521  3 H 1.10
C9 0.4024 0.4451 0.3897  3 H 1.10
C10 0.4511 0.1107 0.1018  3 H 1.09-1.10
C11 0.5515 0.6116 0.4010  3 H 1.10
C12 0.6018 0.9476 0.1144  3 H 1.10
C13 0.6143 0.0980 0.9515  3 H 1.10
C14 0.6398 0.3593 0.6401  3 N 1.34-1.35
C15 0.6609 0.1571 0.1609  3 H 1.10
C16 0.8424 0.8388 0.6607  3 H 1.10
C17 0.8637 0.6361 0.1397  3 N 1.34-1.35
C18 0.8889 0.8978 0.4515  3 H 1.10
C19 0.9015 0.0483 0.6144  3 H 1.10
C20 0.9524 0.3816 0.8988  3 H 1.10
N1 0.0398 0.1899 0.3194  2 H 1.03
N2 0.0845 0.4187 0.9231  4 C 1.44-1.53
N3 0.1839 0.0356 0.3099  2 H 1.03-1.04
N4 0.1938 0.1802 0.4635  2 H 1.03-1.04
N5 0.3095 0.8157 0.9632  2 H 1.03
N6 0.3194 0.9599 0.8096  2 H 1.03-1.04
N7 0.4206 0.5772 0.4213  4 C 1.46-1.51
N8 0.4639 0.8062 0.8194  2 H 1.03-1.04
N9 0.5396 0.3058 0.6839  2 H 1.03
N10 0.5820 0.0782 0.0820  4 C 1.50

Wanted
Please work out how many lines further above have the word "No" in them; a number is enough.

Result
1